Its been months since your interaction with Loki and still no sign of him. He promised he would be back and you believed him. His presence still radiating through your empty apartment, his books still sitting there on the coffee table. Every Friday you would wait patiently in the library, just waiting for him to come rushing through the door to find you. Every other night you waited by your front door for a familiar knock, you imagined running into his arms and never leaving.
You sit by your bedroom window watching the town, hoping to see Loki running to your apartment building but you never do. You had stopped reading, unable to concentrate thinking back to his frost giant lips pressed again your gentle Asgardian ones. You realised you had to forget about Loki and move on, you grabbed the books from the coffee table and marched to the library.
" id like to know where these belong please" you demanded from the librarian slamming the heavy books down on the counter. " where did you get those, they don't belong here. they are prince Loki's special editions from the palace library" she very angrily explained. You didn't bother explaining so you took them back home putting them in the same place, dust lines from where they previously were.
You were shocked he had brought you his collection and honoured at the same time, just as you put them down a note fallen from the top book, you stared at it for a couple of seconds before cautiously retrieving the note.You opened it up to find a map of the palace. As you unfolded the enchanted map a second note fell out that you managed to catch before it fell.
It read: " y/n my dear if you are reading this note then I have been wrongly imprisoned by Odin in the dungeons below the palace. I was bribed to do a horrible thing on Midgard that caused mass destruction which as now sealed my fate, They do not believe me and it could mean I will spend the rest of my days in these retched dungeons. I still have most of my magic but not enough for me to break free, just enough to send you this note. I need you to break me out so I can prove my innocence. There's a sewer tunnel under the town library that will lead you up into the dungeons without getting noticed. The map should help you. I hope to see you soon my love.
Loki"You fell back onto your sofa happy knowing he didn't leave you on purpose but you could feel a deep pain knowing he was locked up with criminals. You knew that Loki wasn't perfect but he said it himself, he was brainwashed.
You knew you had to help him so every day you took a trip down to the sewer entrance so you were clear on the plan. You studied the map just in case you found yourself lost.
After one full week of checking and revising you set off just after midnight to rescue Loki from the dungeons. You made you way through the town worming your way through the people and headed down through the woods hopefully unnoticed. The sewer entrance was dark, cold and everything you imagined a sewer to be, sludgy and the noise of consent raindrops bouncing off the floor.
You lit up your torch and began heading down the tunnel for the first time, there was no light yet coming from the other side, you hoped the walk wasn't too long. You walked for what seemed forever before hearing a voice, you shut off your torch in a flash and pressed your back firmly up against the cold, damp wall trying not to breathe, too scared the man would hear.
The guard seemed to have past but your torch remained off, you continued walking until you were faced with a steep stone staircase leading down towards a warm light. You hesitated before climbing down the stairs build for longer legs then your own.
You arrived at a corridor with a large wooden door at the end with a bolt almost as big as you. "well he could have told me about the giant door" you scoffed to yourself. You began to slowly approach the door, keeping aware of where you are.

Tom Hiddleston/Loki oneshots mostly smut
• Calculated crystals from another source follow:
- - -
Here is an optimized crystal structure of Pa2BeZn from Alexandria via LeMat-Bulk. Energies are from PBE.

Properties
The value obtained for the final energy is -0.426 Ry/atom. The energy above the most stable polymorph in this dataset comes out at 0.000 eV per atom. For the total moment, the calculation gives 0.000 μB per atom. As for the formation energy: 201 meV per atom.

Unit cell a=3.479 b=3.479 c=6.525 alpha=90.00 beta=90.00 gamma=90.00
Space group P4/mmm (No. 123)
Unique sites:
Pa1 0.000 0.000 0.211
Be1 0.500 0.500 0.000
Zn1 0.500 0.500 0.500

----------

Density functional theory data (PBE) for an optimized crystal structure of EuThHgBi.

```
EuThHgBi
1.0
0.0000 3.9200 3.9200
3.9200 0.0000 3.9200
3.9200 3.9200 0.0000
Eu Th Hg Bi
1 1 1 1
direct
0.0000 0.0000 0.0000 Eu
0.5000 0.5000 0.5000 Th
0.2500 0.2500 0.2500 Hg
0.7500 0.7500 0.7500 Bi
```

For the magnetic moment, the calculation gives 7.8 μB per formula unit. Its crystal system is cubic. Its formation energy is -1.612 eV per formula unit. The value obtained for the total energy is -23.49 eV for the cell shown. As for the density: 10.94 Mg/m³.

----------

Material: MoPtSe2
Method: DFT, PBE
State: relaxed

CIF file:
```
data_MoPtSe2
_cell_length_a 9.818
_cell_length_b 3.280
_cell_length_c 6.171
_cell_angle_alpha 90.00
_cell_angle_beta 97.58
_cell_angle_gamma 90.00
_symmetry_space_group_name_H-M 'C 1 m 1'
_symmetry_Int_Tables_number 8
loop_
_symmetry_equiv_pos_as_xyz
'x,y,z'
'x,-y,z'
'x+1/2,y+1/2,z'
'x+1/2,-y+1/2,z'
loop_
_atom_site_label
_atom_site_type_symbol
_atom_site_fract_x
_atom_site_fract_y
_atom_site_fract_z
Mo1 Mo 0.000 0.000 0.000
Pt1 Pt 0.286 0.000 0.990
Se1 Se 0.163 0.500 0.231
Se2 Se 0.448 0.000 0.699
```

Computed properties:
Formation energy (no corrections), eV/atom: -0.078
Distance to the lowest polymorph of the same formula, meV/atom: 58
VASP energy, eV per atom: -6.04

----------

[1]
The following is a GGA-PBEsol calculation of a relaxed structure of BeBTe2Ir, from Alexandria.

Structure (extended XYZ):
```
5
Lattice="4.0396 0.0000 0.0000 0.0000 4.8653 0.0000 0.0000 0.0000 4.8653" Properties=species:S:1:pos:R:3 pbc="T T T"
Be 0.0000 0.0000 0.0000
B 2.0198 2.4327 2.4327
Ir 2.0198 0.0000 0.0000
Te 0.0000 0.0000 2.4327
Te 0.0000 2.4327 0.0000
```

**SG**: P4/mmm, No. 123
**Crystal system**: tetragonal
**E_form (uncorrected)**: 1.4007 eV per atom

[2]
The following is a GGA-PBEsol calculation of a relaxed structure of Ti2BeBIr, from Alexandria.

Structure (extended XYZ):
```
5
Lattice="-0.6401 -1.4494 -3.6251 3.9670 0.7261 -0.9908 1.0284 -3.7953 1.3358" Properties=species:S:1:pos:R:3 pbc="T T T"
Be 2.1776 -2.2593 -1.6401
B 0.0000 0.0000 0.0000
Ir -0.3201 -0.7247 -1.8125
Ti 0.5142 -1.8977 0.6679
Ti 1.9835 0.3631 -0.4954
```

**SG**: P4/mmm, No. 123
**Crystal system**: tetragonal

[3]
The following is a GGA-PBEsol calculation of a relaxed structure of KBe2B3O7, from Alexandria.

Structure (extended XYZ):
```
26
- - -
FanfictionGoing to be trying out writing oneshots mostly of Tom Hiddleston or Loki